Parvo & Other Doggie Diseases

~~~Dr. Mercola says,We can solve well over 90% of the all chronic diseases with simple, inexpensive natural therapies.”

Dr. Bennett is an Infectious Disease Microbiologist and Immunologist and say’s, “Bacterial infections, viral infections and immune system fatigue cause a host of disease problems in humans and pets (especially in very young and older animals).”  


Make sure you check out my Antibiotics Page.

Dr. Will Falconer, DVM
“Most of the chronic diseases we commonly see in animals (and humans) have an immune basis, e.g. diabetes, allergies, asthma, thyroid disease, inflammatory bowel diseases, repeated ear infections, cancer, etc. 

While they can be cured through the careful use of homeopathy, the road to cure can be a long one & often years if the animal has had years of disease.”




Stress, immunizations and/or parasites are usually what causes Coccidia.  You will see a loose stool that will be mucousy and may have streaks of blood in it.  Many veterinarians will tell you that your puppy is full of parasites.  

Coccidia is not exactly a parasite.  Coccidia is a protozoon that lives in the intestinal tract of all dogs.

I give my puppies/dogs Milk Kefir .  It is a very beneficial thing, especially to combat the Coccidia.  It keeps a healthy balance of bacteria in the puppies intestinal tract. If a puppy has enough good bacteria in his stomach, Coccidia cannot grow.

I start newborns out on this and they stay on it until they leave my house.
it is full of beneficial bacteria.  (I am offering this to you in a kit now so you can make some at home!)

If a puppy is ever put on antibiotics, it has happened in the past to my puppies, I made sure to give him kefir to replenish the good bacteria that was being killed by the antibiotics.  Now I know better and would never put a puppy on an antibiotic.

Almost every breeder has your puppy on at least one kind of antibiotic if not two different ones.  This is very bad for their gut health.

Their gut and ours, has a balance of good and bad bacteria and even one course of antibiotics can and does, throw it out of whack and can cause yeast to flourish. Maybe some of you ladies are familiar with the word candida, it is the same thing.  If candida is left to flourish it can end up being systemic and get into the blood stream.  Without good gut health, you cannot be healthy, again, this is for our pet’s and for us.  You can read more about good gut health in other places on my website.

When Coccidia does exist in the intestines of a puppy, it can easily spread through his system and into the lungs and if left unchecked, it can cause pneumonia and death.

**What comes next are calculated molecules, not part of the piece:**
........
1.
........
**The piece goes on:**

The first signs of Coccidia  usually show a puppy not being interested in his food.  Contact your vet immediately if you see these signs.  

When a puppy or even a person has a virus it is very hard to determine which virus it is, whether it be from a rectal exam or a blood draw.  I have heard this from many medical drs. I think it is just simply a difficult thing to differentiate and often times the vet or even a medical doctor just has to guess and treat it.  This is what I have found through my own experiences, anyway.

Most times, at least for a puppy, the treatment will be the same.  
Parvo treatment and Corona treatment will be the same, but Coccidia treatment will be different.  I have had my vet tell me that it is hard to distinguish between Corona virus and Parvo Virus.  My vet is very good and people travel far to see him.

I once took the same stool sample to two different vets, and 
they detected two different things.  I have heard this from a few others too.

Maybe it’s the equipment they use to test for Parvo, I don’t know.
You may experience something different with your vet.  

It is common for a puppy to be misdiagnosed, even with Parvo.  
The tests are so inaccurate, that if a puppy has had a Parvo Vaccine recently it will show up as positive for Parvo.  
The vet will probably think the puppy has Parvo and that will be that.

Many viruses mimic each other with symptoms.  
Viruses can remain dormant for many years and when the immune system becomes compromised from an immunization, parasites, stress, etc… it can reappear.

Michagan 049

Parvo Virus is a viral disease of dogs. It affects puppies much more frequently than it affects adult dogs. The virus likes to grow in rapidly dividing cells, this would mean a puppy.  The intestinal lining has the biggest concentration of rapidly dividing cells in a puppy’s body. 

The virus attacks and kills these cells, causing diarrhea (often bloody), depression and suppression of white blood cells — which come from another group of rapidly dividing cells. In very young puppies it can infect the heart muscle and lead to  sudden death.

“There is a temptation to blame almost any case of vomiting and diarrhea in a young of these symptoms.  It can be hard to definitively diagnose parvo virus in a clinical setting. Most puppies with parvo virus seem very ill. They are usually noticeably depressed.

There is usually vomiting and severe diarrhea. 
White blood cell counts are suppressed, especially the neutrophils. There are tests for parvo virus but false positives can occur within 5 to 12 days of vaccination and false negative tests occur, as well. 

A combination of suspected clinical symptoms, a positive Parvo Virus test and low white blood cell count comes close to ensuring a proper diagnosis. If two out of three of these criteria are present it is likely but not certain that Parvo Virus is present.”
Dr Michael Richards

Dr Jeannine Day say’s, “It is sad, I worked with allopathic vets for many years and saw the long term results of vaccinating puppies and 
also noted that the majority of puppies we had admitted with “Parvo” HAD indeed BEEN vaccinated.

It seems to be the general public’s opinion (wonder where they came up with it?) that giving a series of shots will PREVENT their puppies from getting Parvo and they are dead wrong. What they don’t realize is that if the puppies are vaccinated and they do they get parvo it is much more difficult to treat and they are more likely to die from it.
An unvaccinated puppy that does contract Parvo,
actually gets better faster.

They also are not aware that many puppies get Parvo from the vaccine itself.” 

William Pollak D.V.M. 
 “Severe nutritional deficiencies and toxic states have been known to mimic almost every known disease in veterinary medicine. In chronic conditions, some developing over several generations, improvement in health can take months or years.”

Different Diseases

1.  Campylobacter
2.  Coccidia
3.  Coronavirus
4.  Distemper
5.  Giardia
6.  Salmonella 
7.  Poisoning
8.  Intestinal Blockage (many times this is from parasites)

Below is a list of many diseases that can mimic parvo.
9.   Worms
10. Dysbiosis

11. Irritable Bowel Syndrome
12. Inflammatory Bowel Disease
13. Colitis
14. Ebola virus
15. Dog Show Crud
16. Leptospirosis
17. Canine Hepatitis
18. Hemorrhagic Gastroenteritis
19. Heliobacter Infection
20. Addison’s disease


Parvo Studies

This really shocked me!

A study conducted by Canine Health Concern during 1997, involving 4,000 dogs, showed that 68.2% of dogs in the survey with parvo virus contracted it within three months of being vaccinated. 

Similarly, 55.6% of dogs with distemper contracted it within three months of vaccination; 63.6% with hepatitis got it within three months of vaccination; 50% with parainfluenza contracted it within three months of vaccination; and every single dog with leptospirosis contracted it within that three month time frame.

I read about a woman who took her non vaccinated puppy to a friends house for a visit.  The next day her friends puppy came down with parvo and was hospitalized. This puppy had had 3 shots for parvo.  The non vaccinated puppy never even got sick!  

This is one of many stories like this that I have read.  It’s true too!  Non vaccinated puppies and dogs are healthier than the vaccinated ones.

“Every time a dog is vaccinated for parvo or any disease, the number of white blood cells in the circulation decreases for a while. This means their immune system won’t work as well during that time. Hmmmm, then what happens when they encounter a virus or bacteria while they’re in this weakened state?  I think you know the answer.

Every veterinarian who has been in practice long enough has seen reactions to vaccines, ranging from lethargy, mild fever, sore neck, to vomiting and sleeping for 24 hours, to total collapse and shock. In cats we now recognize that this in time can cause fibrosarcoma, a nasty cancer. This is officially recognized by the veterinary community, and if this isn’t a form of vaccinosis, I don’t know what is.” 
Dr. Nancy Scanlan, DVM, Chino Hills CA 

Since Dr.  Scanlan, above, says Parvo lowers your puppies white blood count, I give them my puppies Vitamin C to raise their white blood count. 
I like to prevent things from happening.  I give my puppies Vitamin C everyday just to keep them strong.  Indigo is also another supplement that will raise their white blood count.

The Parvo Hysteria
Another important read!
by Mogens Eliasen 
Parvo has been one of the biggest money-makers ever in the pet vaccine industry.  It is supported by emotions, misinformation, fear monger, and lack of fundamental knowledge from the dog owners’ side. 
There are no facts whatsoever to support a risk management proposition in favor of vaccination against that disease.

What is Parvo?  Parvo is a man-made virus mutation. Created by irresponsible people in a virus lab experimenting with stuff that could have been an attempt to initiate biological warfare in Vietnam – who knows. 
The patent on the vaccine is now a billion-dollar income source!

The worst part of it is that there is no way the disease could have been spread as fast as it did over 5 continents, if it would have been left to expanding its territory on its own, by transfer from animal to animal. The only possible way of achieving a world-wide spread in a matter of the few months it took is by distributing the virus through vaccines! (It is an interesting thought that, if we had not been to keen on vaccinating our dogs so much, then Parvo could not have propagated as it did, but would possibly have been easy to isolate in a few small regions…. Producing and distributing vaccine is not free of liability and risk!)

Parvo is a virus that primarily attacks growing cells. That’s what sometimes makes it fatal for young puppies that still suckle. That’s also what makes it totally harmless for adults dogs….However, it is rarely the virus itself that kills, if ever.

It is most often the side effects of its presence, vomiting and diarrhea, that are the primary death reasons – they can be so violent that the puppy dies of dehydration.

How does a dog get Parvo?

“The virus can survive for years in soil.  It can attach itself to almost anything, including dust that is blown with the wind, the soles of your shoes, the skin of your hands.  It resists heat and frost, moisture and draught.  It is everywhere.  

Even wolves in the wild get it nowadays.  Simply by your walking on some contaminated ground can be enough to bring the virus home to your dog.  It is virtually impossible to protect your dog against the exposure.

However, some areas are worse than others, and some of the very worst are the veterinary clinics!  In other words: bringing your puppy to the veterinary hospital in order to vaccinate it against Parvo is madness.  You can be certain of vastly increasing your risk of the puppy contracting Parvo from that visit before it can generate any immunity from the vaccination…

Exposure, however, is not enough for the puppy to contract Parvo.  It takes exposure plus a weakened immune system.  As long as you keep the immune system strong, your puppy is not in danger, no matter the exposure!

I can add to this that I have seen about 150 dogs in my classes over a 10-year period come down with Parvo 2-4 weeks after they got vaccinated.  Of course, when those students went back to the vet that gave the vaccine, “it simply could not be Parvo”.  But when I learned that lesson and asked my students to let another vet take a look without telling anything about the vaccination, the diagnosis came clean and clear every single time:  PARVO! Sure, 150 dogs out of about 3,000 is only 6%… I never saw a case of Parvo among the dogs that were not vaccinated – and they counted about 10% of all my students and they never had any health problems from the exposure to the other dogs in the classes…This is simply not compatible with the scaremonger.

What about vaccination? As you can understand, vaccination against Parvo is a farce.  Or a scam.  Since the disease is no serious threat to adult dogs, but primarily kills puppies at the age of 4-6 weeks when it kills, vaccination is simply not a responsible option!

The reason is that puppies cannot generate immunity against any disease until they are 10-12 weeks old. Till then, they rely 100% on the protection they get through the mother milk, the so-called “maternal antibodies”.  If the mother is healthy and has good protection herself against Parvo, and the puppies suckle till they are about 8 weeks old (as they should…), they will remain well protected till they are 12-16 weeks old.  Any attempt to vaccinate before they have developed the capability of responding with an counter-attack through their own immune system, the maximum you can expect from a vaccination is that the vaccine will destroy the maternal antibodies – and leave the puppy even more vulnerable than it was before!

On top of that, the vaccine is not free of other side effects.  It is actually very poisonous, and it will weaken the entire immune system, at a time when it is not even fully ready to defend itself…

How do we deal with it?  The good news is that the number of puppies that will die as a result of Parvo attacks is not big enough to destroy the species.  But it will soon be, if we do not allow this natural immunity to propagate throughout all breeds – and we can only make that happen when we stop the vaccination madness against diseases that charge only a moderate toll and are completely non-dangerous to adults.

The sad truth most probably is that when we breed dogs who are so completely destroyed by over-vaccination that their immune system no longer can function, the transfer of immunity to puppies through the mother milk is jeopardized. Over-vaccination is a evil circle, and we need to break it before we destroy our dogs.

This is not a matter of saving every single puppy we possibly can breed.  It is a matter of saving enough healthy ones to carry on the powers of an immune system that can handle the disease.  It has been my observation, through following the communications on many bulletin boards and in numerous newsgroups on-line, plus thousands of students and clients of mine, that people who feed their dogs a healthy raw diet and do not vaccinate, rarely get Parvo – and when they do, the attack is mild, with only minor losses, if any.  It would be interesting to quantify this in a dedicated study, and, some day, it will hopefully be done. Till then, we have to make our decisions based on our combined experience.

We need to remember that the virus is virtually everywhere.  There is no protection possible, other than breeding healthy dogs with a strong immune system.  When vaccination is no option either, we need to look elsewhere for help.”

Mogens Eliasen

Mogens Eliasen holds a mag. scient. degree (comparable to a US Ph. D.) in Chemistry from rhus University, Denmark, has a extensive education also as military officer and in business management.  He has been working with dogs, dog owners, dog trainers, and veterinarians since 1970.  A large part of his dog work has been in the area of education and education planning, and as consultant for dog owners and dog training associations.  He is a strong advocate of treating the dog with respect for its nature as domesticated wolf, and has published several books and videos on topics related to dogs, dog training, dog behavior, and responsible care of dogs.  

Dr. Jeannie Thomason Say’s,

“It is sad, I worked with allopathic vets for many years and saw the long term results of vaccinating puppies and also noted that the majority of puppies we had admitted with Parvo HAD indeed BEEN vaccinated.

It seems to be the general public’s opinion (wonder where they came up with it?) that giving a series of shots will PREVENT their puppies from getting Parvo and they are dead wrong. 

What they don’t realize is that if the puppies are vaccinated and they do they get Parvo it is much more difficult to treat and they are more likely to die from it.

An unvaccinated puppy that does contract Parvo, actually gets better faster.

They are also not aware that many puppies gets Parvo from the vaccination itself.  All the well meaning public is doing is breaking down their immune systems and setting them up for a lifetime of problems from all the vaccines.”